MovieChat Forums > War, Inc. (2008) Discussion > One of the worst things I've ever seen.....

One of the worst things I've ever seen...

... and I only sat through 16 minutes and 14 seconds! Yes, it was so excruciating that I counted every second that I restrained myself from hitting the stop button. Anyone who actually sat through this piece of garbage, I salute you because I'm pretty sure they could show this to suspected terror suspects to get all the info they need.


While I'd definitely not put this in the great movie category, I think you're mistaken if you think it was pointed at the just the GW administration. Seemed more broadly aimed at corporate fascism and interventionist policies in general to me.

As others have said it seemed like they were shooting for Grosse Point Blank 2 w/ a heavy political satire angle and missed. At least it didn't take itself too seriously.



I agree. Well, not the worst but it was a big mess and I kept thinking what drugs were the authors on when they were writing it.
It started as a an interesting movie but in the middle, it suddenly changed into...something...completely different.


Guys common! I thought this movie was very funny and is a big wink to reality. I mean, war is business (invasion in Iraq is all about oil, if there was no oil Saddam would still be in control). This movie just shows you these things but then 'over the top' (like with the rappers) to make a point.
This movie doesn't take itself very serieus, and neither should you guys.
Try to watch it without looking for 'brilliant dialogues, deep stories or beatifull romance'.
I certainly didn't watch it with great expectations, but it exceeded my expectations. The first outsourced war, the irritating 'guidestar' button, the completely stupid hot sauce thingy (original but over the top, a wink to all those moviemakers who try to give their character something 'special' like you see in all movies), the ridiculous scene in the Burger King, all gave me a big grin on my face, just because it was so cheesy.

It's like watching a Steven Seagal movie... you do not watch it for the story but just for Steven and how he always ends up beating up bad guys and breakin their hands and ending the movie with a chick and some word of advice.

Maybe it's because I'm from the Netherlands where we are a little bit more open minded for completely different world views opposed to America (maybe if I were American I would also not like this movie...not sure), but I really liked it and recommended it to all my friends!



**Here the entry breaks off for calculated molecules**
........
Here is a molecular structure, C34H82N2O12SSi in a non-equilibrium geometry from the OMol25 dataset. Energies are from wB97M-V/def2-TZVPD.

Computed properties:
ΔE to the lowest compared entry with this formula, charge and spin   0.0 kJ/mol
HOMO level   -8.175 eV
Strongest force on any atom   4.08 eV Å⁻¹
Orbital gap   7.511 eV
LUMO energy   -0.66 eV

Structure (ORCA input):
```
! RIJCOSX wB97M-V def2-TZVPD def2/J DEFGRID3
* xyz 0 1
C 4.51395 -3.77570 -1.30262
C 4.31238 -2.18874 -1.16998
O 5.60809 -1.64363 -0.80820
C 3.24800 -1.96828 -0.02464
C 2.54587 -0.57550 -0.03424
C 2.53239 0.21307 1.20445
C 1.82906 1.56472 1.30863
C 1.15736 2.08791 0.14212
C 0.35597 3.44969 0.16114
C -1.19623 3.01356 0.33826
O -1.18210 1.70419 0.91963
Si -2.43149 0.67749 0.35657
C -2.66234 0.63970 -1.53418
C -4.04383 1.19525 1.25910
C -2.06752 -1.14059 0.88572
C 1.16109 1.35773 -1.18824
N 0.56533 1.80941 -2.35492
S 0.89948 0.55045 -3.39422
N 1.78773 -0.54451 -2.50796
C 1.87424 0.01640 -1.23378
H 5.60271 -4.04873 -1.18493
H 3.91508 -4.32004 -0.51334
H 4.18202 -4.15990 -2.31162
H 4.02213 -1.73802 -2.15580
H 5.81651 -1.97438 0.08514
H 2.44408 -2.75608 -0.17460
H 3.66904 -2.13553 1.00598
H 3.06036 -0.25408 2.08105
H 1.83237 2.13188 2.26920
H 0.66410 4.09715 1.02776
H 0.44093 4.01319 -0.80355
H -1.74071 3.78454 0.96346
H -1.64228 3.07005 -0.69366
H -3.73538 0.95976 -1.73501
H -2.00231 1.35591 -2.09327
H -2.57960 -0.41955 -1.91014
H -3.76971 1.24834 2.35804
H -4.82705 0.42004 1.04639
H -4.31397 2.22065 0.88069
H -1.76238 -1.75817 -0.01340
H -1.21649 -1.22109 1.61490
H -3.02831 -1.58619 1.25534
C -5.29919 -4.67218 -1.02128
C -4.07468 -3.96503 -1.56820
O -3.17037 -3.66014 -0.51265
H -5.80343 -4.04819 -0.27957
H -6.00481 -4.90844 -1.82092
H -5.01537 -5.59991 -0.51760
H -4.35847 -3.02806 -2.05083
H -3.55829 -4.59014 -2.30420
H -2.91640 -4.49608 -0.09737
C 1.44123 5.22935 4.12161
C 0.43153 6.35639 4.02684
O -0.82580 5.85691 3.59151
H 1.55888 4.73942 3.15213
H 2.41483 5.60139 4.44890
H 1.10251 4.46525 4.82666
H 0.76159 7.10683 3.30647
H 0.30066 6.84435 4.99869
H -1.11790 5.19829 4.23796
C 0.73044 -4.84251 -2.89798
C -0.11728 -5.36237 -1.75191
O 0.10320 -4.58509 -0.57847
H 1.79002 -4.87467 -2.63534
H 0.57308 -5.43558 -3.80162
H 0.48702 -3.79874 -3.11603
H 0.14308 -6.39656 -1.52228
H -1.18231 -5.32239 -2.00466
H -0.13874 -3.67298 -0.78384
C 3.21025 -3.44116 4.28666
C 3.29256 -2.26886 5.24566
O 2.88878 -1.06711 4.59650
H 3.84564 -3.26790 3.41513
H 3.52421 -4.36705 4.77302
H 2.18881 -3.56796 3.91719
H 4.31678 -2.13234 5.59502
H 2.64938 -2.43220 6.11634
H 1.97914 -1.18919 4.29748
C 6.05135 -0.85723 -5.23223
C 5.21466 -1.86981 -5.99081
O 4.10839 -2.28991 -5.20010
H 6.41540 -1.28608 -4.29595
H 6.90749 -0.53267 -5.82782
H 5.45317 0.02007 -4.97049
H 5.80859 -2.75272 -6.23128
H 4.83778 -1.44177 -6.92568
H 3.58079 -1.50743 -4.99749
C -4.81036 -8.71062 0.71422
C -3.37616 -8.40381 1.10042
O -3.05721 -7.05144 0.79070
H -4.96497 -8.53624 -0.35300
H -5.06320 -9.74829 0.94205
........

I didn't like the movie either. It's not the worst movie ever but it was just very, very bland. It wasn't that funny, at some points it tried to be too clever and at other points it almost became an action movie like they couldn't decide what should be the most important part of the film. In many ways, it gave me the same feeling that Robin Williams movie Man Of The Year had made me feel a couple of months before, it fails for exactly the same reasons.

But what I dislike so more than watching a bland movie is these IMDB board idiots that judge a movie when they have not even seen it in its entirety. I don't care if in 9 out of 10 cases the rest of the movie won't be much better, you are a retard if you're judging movies based on having seen just a part of them. If you start on something you better have the balls to finish it if you want to earn the right to complain about it later.


I thought Cusack and Tomei had real chemistry. You really feel about their relationship.


This movie was not a good film, especially considering all that were involved in the production. It seemed to only want to do one thing: Criticize. It didn't tell a cohesive and lucid story, good actors actually did a bad job acting, it wanted to bill itself as Gross Pointe Blank 2 but the movie was not on the same level as that prior work. To say I was disappointed in this movie is an understatement. This is what happens when you let your politics and beliefs guide a movie without taking in to consideration things like story and plot.

Kind of sad because I love Gross Pointe Blank and many other John Cussack movies, despite not seeing eye to eye with him on many subjects. And Marisa Tomei is just a beautiful actress that has the ability to go along with it...

"God is Dead" Nietzsche
"Nietzsche is dead" God


I'm barely 30 minutes in and this movie SUCKS. There are way too many moments that are obviously supposed to be funny, but they're just stupid and boring. I think I'll turn this garbage off.

# Misplaced quantum chemistry results
-- begin --
A cluster of 2 separate species, H6N2 in total at a distorted geometry. Source: the Open Molecules 2025 dataset; level of theory: ωB97M-V with the def2-TZVPD basis set.

- Electronic energy: -113.0896 a.u.
- Gap between HOMO and LUMO: 10.406 eV
- HOMO energy: -9.48 eV
- SMILES: N.N
- LUMO: 0.9 eV
- Energy relative to the best compared isomer or geometry (same formula, charge and spin): 0.399 eV

Positions of all 8 atoms, in Å:
N1 -1.745 -0.098 0.409
H1 -1.547 0.528 1.219
H2 -1.826 0.252 -0.529
H3 -0.921 -0.690 0.322
N2 1.253 -0.139 -0.501
H4 1.275 -0.085 0.520
H5 2.183 -0.640 -0.634
H6 1.329 0.870 -0.806

~~~~~

# 1
{
  "formula": "CH2O2S3",
  "method": "ωB97M-V/def2-TZVPD",
  "homo_energy_ev": -9.6241,
  "energy_ha": -1384.2566,
  "smiles": "O=[S@](O)(=S)C=S",
  "lumo_energy_ev": -1.9,
  "spin_multiplicity": 1,
  "homo_lumo_gap_ev": 7.744,
  "species": ["O", "S", "O", "S", "C", "S", "H", "H"],
  "coordinates": [[0.8155, 1.2875, -0.9767], [0.7842, 0.1996, -0.0689], [0.3184, 0.7322, 1.3616], [2.5202, -0.6748, 0.1861], [-0.8355, -0.5896, -0.5780], [-2.1883, -0.3891, 0.1705], [-0.6571, 0.7780, 1.2807], [-0.7575, -1.3438, -1.3754]],
  "forces_ev_per_angstrom": [[-0.21, 1.11, -1.33], [1.27, -0.20, 1.28], [0.19, -0.55, -0.43], [-1.98, -0.01, -0.18], [1.76, -1.85, -0.47], [-1.18, 0.60, 0.72], [-0.27, 0.24, 0.45], [0.42, 0.67, -0.03]]
}

---

# 2
{
  "formula": "C3H7NS2",
  "method": "ωB97M-V/def2-TZVPD",
  "homo_energy_ev": -8.2146,
  "energy_ha": -969.5734,
  "smiles": "N/C=C/C=S.S",
  "lumo_energy_ev": 0.2,
  "spin_multiplicity": 1,
  "homo_lumo_gap_ev": 8.433,
  "species": ["N", "C", "C", "C", "S", "H", "H", "H", "H", "H", "S", "H", "H"],
  "coordinates": [[-0.3840, 0.8436, 0.5420], [0.8905, 0.7714, -0.0738], [1.8043, -0.1951, 0.1574], [3.1528, 0.1500, -0.4131], [4.5570, -0.4972, -0.0087], [-1.0873, 1.4384, 0.2731], [-0.5740, 0.2410, 1.3968], [0.9622, 1.5997, -0.8127], [1.6474, -1.1886, 0.7229], [3.0873, 1.0425, -1.1117], [-6.0796, -0.2607, -0.2080], [-5.1146, -0.8811, 0.3868], [-6.9567, -0.3894, 0.7961]],
  "forces_ev_per_angstrom": [[3.02, -3.28, 2.02], [-3.16, 0.29, 0.64], [1.64, -0.33, -0.66], [-2.25, 0.64, 0.13], [0.66, -0.40, 0.00], [-1.44, 1.57, -0.81], [0.39, 1.23, -1.93], [0.68, -0.76, 0.63], [0.23, 2.08, -0.72], [0.21, -1.04, 0.69], [-1.07, 0.79, -0.85], [0.91, -0.71, 0.79], [0.17, -0.08, 0.06]]
}

---

# 3
{
  "formula": "C33H92O23P4",
  "method": "ωB97M-V/def2-TZVPD",
  "homo_energy_ev": -9.3218,
  "energy_ha": -4408.7021,
  "smiles": "COP(=O)(OC)OC.COP(=O)(OC)OC.COP(=O)(OC)OC.COP(=O)(OC)OC.CC(C)O.CC(C)O.CC(C)O.CC(C)O.CC(C)O.CC(C)O.CC(C)O",
  "lumo_energy_ev": 0.2,
  "spin_multiplicity": 1,
  "homo_lumo_gap_ev": 9.554,
-- stop --
# End of the quantum chemistry results

It is the way of men to make monsters; and it is the nature of monsters to destroy their makers.


Definitely agreed with the repeated "supposed to be funny" criticism. There are a few genuinely funny lines (most coming from Cusack, probably ones he wrote himself and with good reason I'd guess) but for the remainder of it the rest of what's supposed to be funny seems to miss the mark. Restraint probably would've given this film an edge in terms of quality, instead of just dumping too much of the obvious to convey the satire to the audience.



Humor is subjective. Some people can't handle wry satire.

"Time flies like an arrow. Fruit flies like a banana."



I'm no teenager, but if Colbert's show is the criteria for comparison, I think you'd have to look pretty hard to find writing staffs that are superior to those who work for The Colbert Report - - and Stewart. The consistent level of material that they turn out four days a week is damned impressive.

These quantum chemistry results were left in the page by mistake >
(1)
16
Properties=species:S:1:pos:R:3:forces:R:3:nbo_charge:R:1 method="wB97M-V/def2-TZVPD" orbital_gap_ev=6.0 e_tot_ha=-648.444607 total_charge=-1 fmax_ev_per_a=3.09
S 0.404 1.418 -2.135 0.3 0.0 1.1 0.05
O -0.497 -0.405 1.640 -1.1 -1.6 1.0 -1.00
N 0.121 -2.535 2.336 0.2 -0.9 0.9 -0.93
C -1.026 -1.620 2.164 1.6 2.2 -1.5 0.11
C 1.667 0.945 -0.815 -1.5 -0.4 -1.0 -0.73
C -1.081 0.990 -1.153 0.1 0.9 -1.1 -0.72
H -0.769 0.084 -0.659 -0.8 -0.4 0.5 0.28
H 1.270 0.824 0.195 -0.4 0.9 0.1 0.28
H -1.735 -2.039 1.424 -0.3 -0.3 0.2 0.07
H 0.933 -2.119 1.910 -0.1 0.1 -0.3 0.37
H 2.463 1.644 -0.970 0.7 0.0 0.3 0.20
H -1.528 -1.523 3.155 0.0 0.1 -0.3 0.08
H 1.879 -0.086 -1.024 0.9 -0.4 -0.5 0.21
H -1.252 1.788 -0.435 0.0 -0.2 0.2 0.21
H 0.025 -3.521 2.096 -0.2 0.4 -0.2 0.32
H -1.945 0.965 -1.858 0.6 -0.5 0.6 0.20


(2)
16
Properties=species:S:1:pos:R:3:forces:R:3:lowdin_spin:R:1 method="wB97M-V/def2-TZVPD" orbital_gap_ev="2.1 / 6.2" e_tot_ha=-648.360901 total_charge=-2 spin_multiplicity=2 fmax_ev_per_a=1.07
S 0.819 2.374 -1.475 -0.1 -0.1 0.1 0.03
O -1.519 2.823 0.795 -0.4 -0.5 -0.1 0.04
N 0.251 -0.948 0.672 -0.6 -0.9 -0.2 0.01
C -0.534 -2.215 0.592 0.8 0.5 -0.1 0.50
C 1.398 0.894 -0.552 -0.2 0.0 -0.2 0.01
C 0.497 -0.360 -0.642 0.0 0.4 -0.2 0.02
H -0.747 2.652 0.209 0.2 0.3 -0.3 0.00
H -0.385 -0.087 -1.243 -0.2 0.0 0.4 0.01
H -0.394 -2.809 1.503 -0.2 0.0 0.0 0.13
H -0.134 -2.823 -0.232 -0.1 0.0 0.1 0.08
H 2.384 0.631 -0.937 0.2 0.0 0.2 0.00
H -1.600 -2.026 0.408 -0.1 -0.2 0.0 0.12
H -0.341 -0.333 1.204 0.0 0.5 0.2 0.02
H 1.494 1.163 0.499 0.1 -0.1 0.1 0.00
H -2.169 2.208 0.413 0.2 0.3 0.3 0.02
H 0.982 -1.145 -1.214 0.3 -0.1 -0.2 0.01


(3)
16
Properties=species:S:1:pos:R:3:forces:R:3:nbo_charge:R:1 method="wB97M-V/def2-TZVPD" orbital_gap_ev=10.4 smiles=[NH3+][C@@H](CO)CS e_tot_ha=-648.226673 total_charge=+1 fmax_ev_per_a=1.44
S 0.797 2.655 -0.598 0.0 0.1 0.0 0.03
O -0.182 -2.241 0.237 -0.6 0.3 0.9 -0.75
N 0.989 -0.395 -0.880 -1.2 0.0 -0.2 -0.70
C -0.792 -1.025 0.753 -0.3 -1.0 -1.0 -0.10
C -0.297 0.101 -0.168 1.3 0.4 -0.2 -0.06
C 0.069 1.435 0.498 -0.7 -0.9 0.7 -0.57
H 0.769 1.189 1.298 0.4 0.2 -0.1 0.24
H 1.118 -1.351 -0.518 0.3 -0.2 -0.2 0.47
H 1.777 0.229 -0.739 0.1 0.1 0.1 0.45
H -1.010 0.216 -0.976 -0.1 0.2 0.0 0.22
H -1.863 -1.098 0.560 -0.1 0.1 0.4 0.21
H -0.617 -0.978 1.824 0.3 0.6 0.0 0.21
H -0.312 2.826 -1.332 0.0 0.1 -0.1 0.14
H -0.434 -2.928 0.871 0.3 -0.2 -0.4 0.51
H 0.785 -0.435 -1.884 0.4 -0.1 0.2 0.44
H -0.796 1.798 1.054 -0.1 0.2 -0.3 0.26


(4)
16
Properties=species:S:1:pos:R:3:forces:R:3:nbo_charge:R:1 method="wB97M-V/def2-TZVPD" orbital_gap_ev=8.2 e_tot_ha=-648.160449 total_charge=+1 fmax_ev_per_a=3.71
S -0.152 -1.344 0.849 0.1 -0.6 -1.2 -0.07
O 0.248 -1.304 -2.223 -0.3 -0.2 -0.4 -0.73
N 1.130 1.289 1.435 -1.4 -0.6 0.6 -0.60
C 1.012 2.140 2.372 3.4 1.4 -0.6 0.13
C -0.988 -0.320 -0.480 -0.2 -1.6 1.3 -0.48
C -1.085 -1.232 -1.711 0.3 2.8 -0.6 -0.10
H -1.645 -0.665 -2.532 -0.2 -1.2 1.4 0.20
H 0.057 -1.409 -3.162 0.9 -0.2 -0.1 0.49
The quantum chemistry results stop here >

We simply disagree here.

"Time flies like an arrow. Fruit flies like a banana."



One of the most boring and unfunny movies ever made.

Humor and satire, are you kidding me?

John Cusack continues to sink into a never ending series of mediocre movies. What happened to this guy. Geez.

I still can't believe how bad and boring this movie.

yes it was supposed to be satire, I get it. Satire is supposed to be witty, intellectual, sharp, insightful.

Oh brother.
